It’s on days like this that I’m glad we no longer live in Armitage Bridge, but halfway up a hill which looks down on Armitage Bridge.
The BBC web site has this photo of Armitage Bridge…
After spending several minutes wondering if the Armitage Bridge that I knew (which is mostly traditional old stone houses) had been washed clean away and replaced by a row of newer looking red brick houses, I noticed that the file name of the image mentions Doncaster (which is at least 50 miles away).
The local newspaper has this video, although be warned that the narrator sounds like she using a megaphone.
Quite a few local roads have been closed and the area at the south of the University campus (Aspley & Bradley Mills) is still subject to a severe Flood Warning from the Environment Agency.
Month: January 2008
Hours of innocent fun…
…are to be had at!
Many thanks to Amy — whose current Facebook status is “face of an angel and the mouth of a sailor” — for the link (possibly via Phil Bradley?)
International Survey of Library Automation
Marshall Breeding has published the results of the “Perceptions 2007: An International Survey of Library Automation” and I doubt they’ll make comfortable reading at SirsiDynix HQ (unless Scribe has got it right!)…
The products of SirsiDynix, Unicorn and Horizon, received low satisfaction scores from libraries responding to the survey. Unicorn, the company’s flagship ILS performed somewhat better than Horizon. 14% of libraries running Unicorn and about half of those with Horizon indicate interest in migrating to another system — not surprising considering SirsiDynix’s position not to develop that system into the future. Horizon libraries scored high interest in open source ILS alternatives. The comments provided by libraries running Horizon voiced an extremely high level of frustration with SirsiDynix as a company and its decision to discontinue Horizon. Many indicated distrust toward the company. The comments from libraries running Unicorn, the system which SirsiDynix selected as the basis for its flagship Symphony ILS, also ran strongly negative — some because of issues with the software some because of concerns with the company.
Voyager, Horizon, and Aleph 500 sites are the most likely to consider moving to Open Source (such as Koha or Evergreen).
If Open Source isn’t of interest, then the satisfaction levels amongst Polaris customers makes that a very attractive system to move to.
Danish article about the Hitchcock Wiki
_Unrelated to this entry: calculated crystals_
+++
(1)
Ca5TbSe6: optimized geometry, PBE-GGA.

Unit cell a=7.251 b=7.249 c=7.248 alpha=59.99 beta=80.41 gamma=70.53
Sites, in units of the cell vectors:
Se1 0.753 0.082 0.329
Se2 0.247 0.246 0.000
Se3 0.753 0.754 0.000
Se4 0.247 0.918 0.671
Se5 0.247 0.589 0.329
Se6 0.753 0.411 0.671
Ca1 0.000 0.667 0.667
Ca2 0.500 0.832 0.336
Ca3 0.500 0.500 0.000
Ca4 0.000 0.333 0.333
Ca5 0.500 0.168 0.664
Tb1 0.000 0.000 0.000

Computed properties:
The formation energy without anion corrections comes out at -190 kJ/mol of atoms. The value obtained for the total energy is -4.94 eV per atom.



(2)
ThTaSi2Rh: optimized geometry, PBE-GGA.

Unit cell a=4.145 b=4.145 c=6.158 alpha=109.67 beta=109.67 gamma=90.00
Sites, in units of the cell vectors:
Si1 0.613 0.613 0.226
Si2 0.387 0.387 0.774
Th1 0.000 0.000 0.000
Rh1 0.750 0.250 0.500
Ta1 0.250 0.750 0.500

Computed properties:
The formation energy without anion corrections comes out at -68 kJ/mol of atoms. The value obtained for the total energy is -8.20 eV per atom.



(3)
Zr3TlH: optimized geometry, PBE-GGA.

Unit cell a=3.362 b=3.362 c=20.192 alpha=90.00 beta=90.00 gamma=120.00
Sites, in units of the cell vectors:
H1 0.333 0.667 0.750
H2 0.667 0.333 0.250
Zr1 0.000 0.000 0.750
Zr2 0.333 0.667 0.625
Zr3 0.667 0.333 0.375
Zr4 0.333 0.667 0.875
Zr5 0.000 0.000 0.250
Zr6 0.667 0.333 0.125
Tl1 0.000 0.000 0.000
Tl2 0.000 0.000 0.500

Computed properties:
The value obtained for the total energy is -6.33 eV per atom.



(4)
ZrCo3Cl: optimized geometry, PBE-GGA.

Unit cell a=4.729 b=4.729 c=4.729 alpha=90.00 beta=90.00 gamma=90.00
Sites, in units of the cell vectors:
Co1 0.000 0.000 0.500
Co2 0.000 0.500 0.000
Co3 0.500 0.000 0.000
Cl1 0.500 0.500 0.500
Zr1 0.000 0.000 0.000

Computed properties:
The formation energy without anion corrections comes out at 147 kJ/mol of atoms. The value obtained for the total energy is -4.82 eV per atom. As for the energy above the most stable polymorph in this dataset: 1.043 eV/atom.



(5)
LiAcNd2: optimized geometry, PBE-GGA.

Unit cell a=3.715 b=3.715 c=11.932 alpha=81.03 beta=81.03 gamma=60.00
Sites, in units of the cell vectors:
Li1 0.667 0.667 0.000
Ac1 0.500 0.500 0.500
Nd1 0.077 0.077 0.770
Nd2 0.257 0.257 0.230

Computed properties:
The formation energy is 53.9 kJ/mol of formula units. The value obtained for the total energy is -3.75 eV per atom. As for the energy above the most stable polymorph in this dataset: 0.069 eV/atom.



(6)
Fe14GeW: optimized geometry, PBE-GGA.

Unit cell a=4.968 b=4.968 c=8.095 alpha=90.00 beta=90.00 gamma=108.87
Sites, in units of the cell vectors:
Fe1 0.125 0.875 0.000
Fe2 0.376 0.126 0.244
Fe3 0.376 0.126 0.756
Fe4 0.375 0.625 0.247
Fe5 0.874 0.624 0.244
Fe6 0.375 0.625 0.753
Fe7 0.125 0.375 0.500
Fe8 0.874 0.624 0.756
Fe9 0.625 0.375 0.000
Fe10 0.625 0.875 0.500
Fe11 0.875 0.125 0.247
Fe12 0.625 0.875 0.000
Fe13 0.125 0.375 0.000
Fe14 0.875 0.125 0.753
W1 0.125 0.875 0.500
Ge1 0.625 0.375 0.500

Computed properties:
+++
Many thanks to Boline Skovly and Filmmagasinet Ekko for publishing an article about the site (specifically the 1000 Frames of Hitchcock project)…
Hitchcock — stykke for stykke
Fan har lagt 50.000 billeder fra Hitchcocks film ud på nettet. Guf for undervisere, mener ekspert.
“Spin, spin, spin the Wheel of Justice…”
Kudos if you automatically sang to yourself “…see how fast the bastard turns” 😉
If you’ve no idea what I’m on about, then YouTube is your friend.
Anyway, I got to playing around with the OPAC keyword cloud data and ImageMagick and came up with this (reload that web page to get a new image)…
I was struggling to remember how to find the points on the circumference of a circle until I remembered that one of the chapters in the original ZX Spectrum manual covered the topic.
The word in the middle is chosen at random from the top 200 most popular keywords used on our OPAC and the surrounding words at those most commonly used with that word.